## Wanted
Could you say how many lines of the contents underneath hold the word "Tm", as a bare number?

## Contents
'''
[1]
Diffraction record for Er3TmAs4. The powder X-ray diffraction pattern is theoretical, not measured: it uses the GGA-PBE geometry in Alexandria and Cu Kα, 1.54184 Å.

Top 10 peaks for 2θ = 10–90°, by angle:
26.8 deg, rel. 25; 31.0 deg, rel. 100; 44.4 deg, rel. 74; 52.6 deg, rel. 12; 55.2 deg, rel. 26; 64.7 deg, rel. 12; 71.3 deg, rel. 5; 73.4 deg, rel. 34; 81.8 deg, rel. 25; 88.0 deg, rel. 4

a b c (Å): 8.155 11.530 4.078
angles (deg): 90.00 90.00 90.00
Fractional positions:
Er 0.000 0.000 0.000
Er 0.250 0.250 0.500
Er 0.250 0.750 0.500
Er 0.500 0.500 0.000
Er 0.750 0.250 0.500
Er 0.750 0.750 0.500
Tm 0.000 0.500 0.000
Tm 0.500 0.000 0.000
As 0.000 0.250 0.000
As 0.000 0.750 0.000
As 0.249 0.500 0.500
As 0.251 0.000 0.500
As 0.500 0.250 0.000
As 0.500 0.750 0.000
As 0.749 0.000 0.500
As 0.751 0.500 0.500

[2]
Diffraction record for HoAl11. The powder X-ray diffraction pattern is theoretical, not measured: it uses the GGA-PBE geometry in Alexandria and Cu Kα, 1.54184 Å.

Top 12 peaks for 2θ = 10–90°, by angle:
14.7 deg, rel. 31; 16.2 deg, rel. 23; 21.9 deg, rel. 39; 22.9 deg, rel. 17; 27.3 deg, rel. 50; 31.9 deg, rel. 43; 32.6 deg, rel. 15; 35.9 deg, rel. 100; 36.6 deg, rel. 51; 38.4 deg, rel. 23; 55.1 deg, rel. 23; 65.5 deg, rel. 24

a b c (Å): 8.556 8.556 8.556
angles (deg): 100.21 100.21 130.21
Fractional positions:
Ho 0.375 0.625 0.750
Ho 0.625 0.375 0.250
Al 0.000 0.000 0.000
Al 0.000 0.000 0.500
Al 0.000 0.500 0.000
Al 0.125 0.875 0.250
Al 0.134 0.556 0.335
Al 0.134 0.799 0.577
Al 0.201 0.278 0.335
Al 0.201 0.866 0.923
Al 0.278 0.201 0.835
Al 0.278 0.444 0.077
Al 0.444 0.278 0.577
Al 0.444 0.866 0.165
Al 0.500 0.000 0.500
Al 0.556 0.134 0.835
Al 0.556 0.722 0.423
Al 0.722 0.556 0.923
Al 0.722 0.799 0.165
Al 0.799 0.134 0.077
Al 0.799 0.722 0.665
Al 0.866 0.201 0.423
Al 0.866 0.444 0.665
Al 0.875 0.125 0.750

[3]
Diffraction record for Pr2Ho4Cd. The powder X-ray diffraction pattern is theoretical, not measured: it uses the GGA-PBE geometry in Alexandria and Cu Kα, 1.54184 Å.

Top 12 peaks for 2θ = 10–90°, by angle:
27.8 deg, rel. 49; 30.6 deg, rel. 100; 31.1 deg, rel. 90; 34.4 deg, rel. 43; 35.6 deg, rel. 44; 44.2 deg, rel. 41; 44.5 deg, rel. 22; 47.4 deg, rel. 17; 55.0 deg, rel. 19; 58.2 deg, rel. 18; 62.5 deg, rel. 19; 63.0 deg, rel. 22

a b c (Å): 8.146 8.146 6.776
angles (deg): 90.00 90.00 90.00
Fractional positions:
Pr 0.000 0.500 0.250
Pr 0.000 0.500 0.750
Pr 0.500 0.000 0.250
Pr 0.500 0.000 0.750
Ho 0.208 0.208 0.075
Ho 0.208 0.792 0.925
Ho 0.292 0.292 0.575
Ho 0.292 0.708 0.425
Ho 0.708 0.292 0.425
Ho 0.708 0.708 0.575
Ho 0.792 0.208 0.925
Ho 0.792 0.792 0.075
Cd 0.000 0.000 0.500
Cd 0.500 0.500 0.000

[4]
Diffraction record for NaCdIn2Hg4. The powder X-ray diffraction pattern is theoretical, not measured: it uses the GGA-PBE geometry in Alexandria and Cu Kα, 1.54184 Å.

Top 12 peaks for 2θ = 10–90°, by angle:
22.5 deg, rel. 28; 29.2 deg, rel. 59; 29.8 deg, rel. 15; 31.3 deg, rel. 100; 34.7 deg, rel. 39; 43.3 deg, rel. 82; 46.0 deg, rel. 34; 60.0 deg, rel. 15; 62.0 deg, rel. 14; 68.1 deg, rel. 21; 69.8 deg, rel. 19; 73.0 deg, rel. 17

a b c (Å): 8.709 8.709 6.870
angles (deg): 113.17 113.17 89.07
Fractional positions:
Na 0.000 0.500 0.000
Na 0.500 0.000 0.500
Cd 0.000 0.000 0.000
Cd 0.000 0.000 0.500
In 0.000 0.500 0.500
In 0.500 0.000 0.000
In 0.500 0.500 0.000
In 0.500 0.500 0.500
Hg 0.238 0.248 0.492
Hg 0.248 0.238 0.992
Hg 0.249 0.751 0.501
Hg 0.249 0.751 0.999
Hg 0.751 0.249 0.001
Hg 0.751 0.249 0.499
Hg 0.752 0.762 0.008
Hg 0.762 0.752 0.508

[5]
Diffraction record for TbNdSm2Er. The powder X-ray diffraction pattern is theoretical, not measured: it uses the GGA-PBE geometry in Alexandria and Cu Kα, 1.54184 Å.

Top 12 peaks for 2θ = 10–90°, by angle:
28.8 deg, rel. 100; 29.1 deg, rel. 56; 29.6 deg, rel. 63; 31.9 deg, rel. 26; 32.4 deg, rel. 34; 32.7 deg, rel. 28; 33.4 deg, rel. 26; 34.1 deg, rel. 29; 34.7 deg, rel. 25; 45.2 deg, rel. 26; 53.1 deg, rel. 27; 56.2 deg, rel. 25

a b c (Å): 8.335 6.609 6.200
'''

## Reply
2